7.8  FEM result data structure

........
(1)
DFT (PBE) results for a relaxed structure of CsErZnSe3.

Values from the calculation:
The MP2020-corrected energy is -4.52 eV/atom. Its formation energy is -1.65 eV per atom. The space group is Cmcm (63).

Unit cell a=4.160 b=8.407 c=10.947 alpha=90.00 beta=90.00 gamma=104.33
Sites, in units of the cell vectors:
Se 0.615 0.229 0.442
Se 0.385 0.771 0.942
Se 0.615 0.229 0.058
Se 0.944 0.889 0.250
Se 0.056 0.111 0.750
Zn 0.463 0.926 0.750
Cs 0.744 0.488 0.750
Er 0.000 0.000 0.000
Zn 0.537 0.074 0.250
Se 0.385 0.771 0.558
Cs 0.256 0.512 0.250
Er 0.000 0.000 0.500

(2)
DFT (PBE) results for a relaxed structure of CsEu.

Values from the calculation:
Its formation energy is 0.30 eV per atom. The space group is P-6m2 (187).

Unit cell a=4.464 b=4.464 c=8.009 alpha=90.00 beta=90.00 gamma=120.00
Sites, in units of the cell vectors:
Cs 0.333 0.667 0.500
Eu 0.000 0.000 0.000

----------

Entry 1:
This record from the Materials Project describes a relaxed LiRhO2 crystal. The functional is GGA-PBE.

## Properties
- electronic total energy (Ry/atom) = -0.44060
- energy of formation (kJ/mol of atoms) = -149
- calculated volume (Å³ per atom) = 10.0

Lattice parameters (Å, degrees): 8.610 8.610 8.610 90.00 90.00 90.00
Space group Fd-3m (No. 227, origin choice 2)
One atom of each set of equivalent atoms:
1 Li 0.000 0.000 0.000 (multiplicity 16)
2 Rh 0.000 0.000 0.500 (multiplicity 16)
3 O 0.008 0.008 0.742 (multiplicity 32)



Entry 2:
This record from the Materials Project describes a relaxed LiRuRhO4 crystal. The functional is GGA-PBE.

## Properties
- electronic total energy (Ry/atom) = -0.48244
- energy of formation (kJ/mol of atoms) = -143
- calculated volume (Å³ per atom) = 11.2
- size of the total moment (μB per formula unit) = 2.0

Lattice parameters (Å, degrees): 5.963 6.178 8.544 90.00 90.00 90.00
Space group Imma (No. 74)
One atom of each set of equivalent atoms:
1 Li 0.000 0.250 0.126 (multiplicity 4)
2 Ru 0.250 0.250 0.750 (multiplicity 4)
3 Rh 0.000 0.000 0.500 (multiplicity 4)
4 O 0.000 0.022 0.743 (multiplicity 8)
5 O 0.230 0.250 0.513 (multiplicity 8)



Entry 3:
This record from the Materials Project describes a relaxed Li2RuO3 crystal. The functional is GGA-PBE.

## Properties
- electronic total energy (Ry/atom) = -0.45359
- energy of formation (kJ/mol of atoms) = -179
- calculated volume (Å³ per atom) = 9.3

Lattice parameters (Å, degrees): 5.111 8.840 5.202 90.00 109.10 90.00
Space group C2/m (No. 12)
One atom of each set of equivalent atoms:
1 Li 0.000 0.000 0.000 (multiplicity 2)
2 Li 0.000 0.161 0.500 (multiplicity 4)
3 Li 0.000 0.500 0.500 (multiplicity 2)
4 Ru 0.000 0.334 0.000 (multiplicity 4)
5 O 0.235 0.500 0.238 (multiplicity 4)
6 O 0.250 0.172 0.236 (multiplicity 8)



Entry 4:
This record from the Materials Project describes a relaxed Li3Ru2O6 crystal. The functional is GGA-PBE.

## Properties
- electronic total energy (Ry/atom) = -0.43871
- energy of formation (kJ/mol of atoms) = -139
- calculated volume (Å³ per atom) = 8.6
........

7.8  FEM result data structure#

Deformations resulting from finite element computations (fe_eig, fe_load, …) are described by def structures with fields

.defdeformations (NDOF by NDef matrix)
.DOFDOF definition vector, note that the .tdof field is used for responses at sensors and the .dof field for input/output pairs
.data(optional) (NDef by Ninfo vector or matrix) characterizing the content of each deformation (frequency, time step, ...)
.Xlab(optional) {'DOF',{'Freq';'Index'}} cell array describing the columns of data.
.defL(optional) displacement field corresponding to the left eigenvectors obtained from fe_ceig.
.fun(optional) function description [Model Analysis Field FieldType Format NDV]. This is based on the UNV 55 format detailed below. Typically field with [0 fe_curve('TypeAnalysis')]. This field is needed for proper automated display setup.
.lab(optional) cell array of strings characterizing the content of each deformation (columns of .def). For large arrays, the use of a .LabFcn is preferable.
.ImWrite(optional) can be used to control automated multiple figure generation, see iicom ImWrite.
.LabFcncallback for label generation see fecom LabFcn
.Legenddata for legend generation, see fecom Legend
.label(optional) string describing the content
.DofLaboptional cell array of strings specifying a label for each DOF. This is used for display in iiplot.
.scalefield used by feplot to store scaling information.

The .fun field is a numeric row with values (a typical value for static responses is def.fun=[0 1 0])

  • Model (0 Unknown, 1 Structural, 2 Heat Transfer, 3 Fluid Flow)
  • Analysis see list with fe_curve('TypeAnalysis')
  • Field see list with 0: Unknown (or general SDT), 1: Scalar, 2: Tx Ty Tz, 3: Tx Ty Tz Rx Ry Rz, 4: Sxx Sxy Syy Sxz Syz Szz, 5: Sxx Syx Szx Sxy Syy Szy Sxz Syz Szz
  • FieldType see list with fe_curve('typefield')
  • Format 0 default, 2 Real, 5 Complex
  • NDV Number Of Data Values Per Node (0 for variable number)

Someone pasted crystal structures at this point
/*
Run P
The following is a GGA+U calculation of a relaxed structure of Na4CrO3, from Materials Project.

Summary:
**Total magnetic moment**: 4.00 μB per formula unit
**SG**: No. 9

```
data_Na4CrO3
_cell_length_a 6.4057
_cell_length_b 6.4057
_cell_length_c 8.2607
_cell_angle_alpha 69.52
_cell_angle_beta 69.52
_cell_angle_gamma 54.23
_symmetry_space_group_name_H-M 'P 1'
_symmetry_Int_Tables_number 1
_symmetry_space_group_name_Hall 'P 1'
loop_
_atom_site_label
_atom_site_type_symbol
_atom_site_fract_x
_atom_site_fract_y
_atom_site_fract_z
O1 O 0.1217 0.0156 0.2946
O2 O 0.6800 0.6937 0.1056
O3 O 0.3500 0.3453 0.8496
O4 O 0.6937 0.6800 0.6056
Cr1 Cr 0.3776 0.6537 0.2509
O5 O 0.3453 0.3500 0.3496
Na1 Na 0.9656 0.2783 0.0321
O6 O 0.0156 0.1217 0.7946
Cr2 Cr 0.6537 0.3776 0.7509
Na2 Na 0.1267 0.4401 0.6380
Na3 Na 0.4401 0.1267 0.1380
Na4 Na 0.4850 0.9092 0.8443
Na5 Na 0.0290 0.7435 0.9372
Na6 Na 0.7435 0.0290 0.4372
Na7 Na 0.9092 0.4850 0.3443
Na8 Na 0.2783 0.9656 0.5321
```

=====

Run Q
The following is a GGA+U calculation of a relaxed structure of Na4CrO3, from Materials Project.

Summary:
**Total magnetic moment**: 2.09 μB per formula unit
**SG**: No. 9

```
data_Na4CrO3
_cell_length_a 5.8323
_cell_length_b 6.1757
_cell_length_c 8.8216
_cell_angle_alpha 66.94
_cell_angle_beta 90.00
_cell_angle_gamma 61.82
_symmetry_space_group_name_H-M 'P 1'
_symmetry_Int_Tables_number 1
_symmetry_space_group_name_Hall 'P 1'
loop_
_atom_site_label
_atom_site_type_symbol
_atom_site_fract_x
_atom_site_fract_y
_atom_site_fract_z
Na1 Na 0.8472 0.6071 0.6276
O1 O 0.6333 0.7061 0.8465
Na2 Na 0.2710 0.7810 0.4475
Na3 Na 0.5457 0.6071 0.1276
Cr1 Cr 0.3298 0.0417 0.7401
O2 O 0.0126 0.1258 0.7942
O3 O 0.6606 0.7061 0.3465
Na4 Na 0.5077 0.3828 0.8505
Na5 Na 0.1094 0.3828 0.3505
Na6 Na 0.9479 0.7810 0.9475
O4 O 0.3158 0.3505 0.1132
O5 O 0.8616 0.1258 0.2942
Cr2 Cr 0.6285 0.0417 0.2401
Na7 Na 0.7402 0.2199 0.5328
Na8 Na 0.0399 0.2199 0.0328
O6 O 0.3337 0.3505 0.6132
```

=====

run P takes first place; second place is 45 meV per atom up.

=====

Run P
The following is a GGA+U calculation of a relaxed structure of Na2Cr4O13, from Materials Project.

Summary:
**Total magnetic moment**: 0.00 μB per formula unit
**SG**: No. 14

```
data_Na2Cr4O13
_cell_length_a 7.2452
_cell_length_b 9.1707
_cell_length_c 17.4573
_cell_angle_alpha 87.73
_cell_angle_beta 90.00
_cell_angle_gamma 90.00
_symmetry_space_group_name_H-M 'P 1'
_symmetry_Int_Tables_number 1
_symmetry_space_group_name_Hall 'P 1'
loop_
_atom_site_label
_atom_site_type_symbol
_atom_site_fract_x
_atom_site_fract_y
_atom_site_fract_z
O1 O 0.1895 0.4223 0.4923
O2 O 0.9877 0.1788 0.0742
Na1 Na 0.3260 0.1781 0.0549
Cr1 Cr 0.1464 0.3236 0.7487
O3 O 0.4550 0.5415 0.2416
O4 O 0.9177 0.2573 0.7628
O5 O 0.6663 0.0649 0.8269
O6 O 0.9167 0.8925 0.0880
O7 O 0.4167 0.6075 0.9120
O8 O 0.1924 0.4194 0.8299
O9 O 0.6271 0.3669 0.5853
Cr2 Cr 0.6729 0.5552 0.0841
O10 O 0.2140 0.6915 0.7383
O11 O 0.3337 0.9351 0.1731
Cr3 Cr 0.6934 0.5866 0.7562
*/
The crystal structures stop here

SDT provides a number of utilities to manipulate deformation structures. In particular you should use

# Misplaced crystal structures
# 1
CrPbO4 r²SCAN relaxed; calculated formation energy = -1.753 eV/atom; spin magnetization = 0.0 μB/f.u.
1.0
-7.108 -1.680 1.384
1.895 -6.118 2.305
2.097 -2.121 8.191
Pb O Cr
4 16 4
Direct
0.142 0.179 0.720
0.358 0.179 0.220
0.642 0.821 0.780
0.858 0.821 0.280
0.845 0.141 0.875
0.288 0.398 0.388
0.599 0.346 0.968
0.155 0.859 0.125
0.788 0.602 0.112
0.212 0.398 0.888
0.345 0.859 0.625
0.401 0.654 0.032
0.712 0.602 0.612
0.992 0.193 0.251
0.901 0.346 0.468
0.655 0.141 0.375
0.008 0.807 0.749
0.099 0.654 0.532
0.492 0.807 0.249
0.508 0.193 0.751
0.664 0.319 0.799
0.836 0.319 0.299
0.164 0.681 0.701
0.336 0.681 0.201

# 2
CrPb2O5 r²SCAN relaxed; calculated formation energy = -1.663 eV/atom; spin magnetization = 0.0 μB/f.u.
1.0
-6.852 -2.497 1.946
-3.672 -1.159 6.492
-4.514 5.314 1.594
O Cr Pb
10 2 4
Direct
0.619 0.085 0.271
0.915 0.381 0.729
0.381 0.915 0.729
0.748 0.252 0.500
0.095 0.095 0.091
0.085 0.619 0.271
0.905 0.905 0.909
0.252 0.748 0.500
0.704 0.704 0.199
0.296 0.296 0.801
0.829 0.829 0.159
0.171 0.171 0.841
0.857 0.857 0.611
0.482 0.482 0.766
0.518 0.518 0.234
0.143 0.143 0.389

# 3
PrCrO3 r²SCAN relaxed; calculated formation energy = -3.129 eV/atom; spin magnetization = 3.0 μB/f.u.
1.0
5.467 0.000 0.000
0.000 5.522 0.000
0.000 0.000 7.752
O Cr Pr
12 4 4
Direct
0.712 0.287 0.041
0.288 0.713 0.959
0.212 0.213 0.541
0.788 0.787 0.459
0.422 0.984 0.250
0.712 0.287 0.459
0.212 0.213 0.959
0.578 0.016 0.750
0.788 0.787 0.041
0.078 0.484 0.250
0.288 0.713 0.541
0.922 0.516 0.750
0.500 0.000 0.500
0.000 0.500 0.000
0.000 0.500 0.500
0.500 0.000 0.000
0.991 0.042 0.250
0.509 0.542 0.250
0.009 0.958 0.750
0.491 0.458 0.750

=====

The following is a meta-GGA r2SCAN calculation of crystalline Zr3Zn at its relaxed geometry, from the Materials Project.

Values from the calculation:
E_tot: -19.41 eV per atom
ΔE_f: -0.488 eV/f.u.

The structure in CIF format:
```
data_Zr3Zn
_cell_length_a 4.280
_cell_length_b 4.280
_cell_length_c 8.982
_cell_angle_alpha 90.00
_cell_angle_beta 90.00
_cell_angle_gamma 90.00
_space_group_name_H-M_alt 'I 4/m m m'
_space_group_IT_number 139
_space_group_name_Hall '-I 4 2'
loop_
_atom_site_label
_atom_site_fract_x
_atom_site_fract_y
_atom_site_fract_z
Zr1 0.000 0.000 0.000
Zr2 0.000 0.500 0.250
Zn1 0.000 0.000 0.500
```

  • def=fe_def('subdef',def,ind) extracts some deformations (columns of def.def). You can select based on the data field, for example with ind=def.data(:,1)>100.
  • def=fe_def('AppendDef',def,def1) combines two sets of deformations
  • def=fe_def('SubDof',def,DOF) extracts some DOF (rows of def.def). To select based on DOF indices, use def=fe_def('SubDofInd',def,ind).
  • def=feutilb('placeindof',DOF,def) is similar but DOF may be larger than def.DOF.
  • fe_def('SubDofInd-Cell',def,ind_dof,ind_def) return clean display of deformation as a cell array.